What is needed: quote only the last part of the block underneath, starting with the line that has "-0.28 -0.65".

........
Density functional theory data (ωB97M-V/def2-TZVPD) for the molecule C9H6N2O2 in a non-equilibrium geometry.

Last column: Mulliken charge in e.
Geometry (Å):
1 C 1.94816 -1.40516 -0.75898  -0.087
2 C -2.33429 0.97156 -0.68946  -0.325
3 C -2.25453 -0.38650 -0.67107  -0.354
4 C -1.20961 1.80236 -0.41974  -0.483
5 C -1.10643 -1.05718 -0.26577  -0.350
6 C -0.02014 1.15208 -0.19264  0.090
7 C -0.05529 -0.25556 0.02608  0.309
8 C 1.31148 1.62158 0.14088  0.066
9 C 1.33076 -0.76276 0.40013  1.001
10 N 2.53134 -1.98910 -1.56493  -0.468
11 N 1.58491 -1.59543 1.58656  -0.552
12 O 1.66449 2.74579 0.12763  -0.545
13 O 2.05821 0.57267 0.60749  -0.377
14 H -3.32385 1.53473 -0.91595  0.261
15 H -3.21388 -0.78335 -1.02224  0.339
16 H -1.18464 2.84179 -0.42221  0.534
17 H -1.17469 -2.17947 -0.07131  0.354
18 H 2.55965 -1.51583 1.86216  0.286
19 H 0.88834 -1.31221 2.24337  0.303

Atomic forces in eV per Å
C 1.18 -0.72 -0.57
C -0.59 3.64 -0.08
C -1.70 0.04 -0.63
C 0.08 -2.22 -0.48
C -1.51 -1.85 0.49
C -1.23 -2.82 0.86
C 1.41 0.02 -0.05
C -0.28 -0.65 0.67
C 1.33 1.50 1.14
N -0.61 0.51 0.37
N -1.21 0.80 -2.35
O 1.05 1.35 -0.01
O -0.27 -0.87 -0.72
H 1.77 -1.36 0.30
H 0.67 -0.96 0.48
H -0.44 1.71 -0.18
H 0.57 1.70 -0.48
H -0.39 0.11 0.20
H 0.18 0.06 1.05

The spin multiplicity is 1. The value obtained for the total energy is -16504.49665 eV. The SMILES is N#C[C@@]1(N)OC(=O)c2ccccc21. Its HOMO energy is -10.39 eV. The LUMO energy comes out at -0.14 eV. For the gap between HOMO and LUMO, the calculation gives 10.25 eV.


Density functional theory data (ωB97M-V/def2-TZVPD) for C9H14BCsNO4 as an isolated structure in a non-equilibrium geometry.

Last column: Mulliken charge in e.
Geometry (Å):
1 C 2.48152 -0.04579 0.68762  -0.246
2 C 2.65142 1.48915 0.12794  -0.597
3 B 1.33952 2.01750 -0.76664  0.056
4 O 1.52022 2.25381 -2.17557  -0.517
5 C 0.04218 2.02682 0.20457  0.477
6 C -1.13324 1.06410 0.26271  0.184
7 C -1.54093 -0.09005 -0.77440  -0.831
8 C -0.69956 -1.42077 -0.99419  -2.273
9 C -1.65640 -2.76278 -0.71391  -0.970
10 N -2.17370 -2.82022 0.69778  -0.430
11 C -1.71884 1.47393 1.72075  0.274
12 O -1.95902 0.50101 2.57670  -0.508
13 O -1.45502 2.80494 2.26939  -0.249
14 C -0.45021 3.11452 1.26407  0.342
15 O -0.39267 4.36008 0.86930  -0.490
16 H 1.52683 -0.21243 1.34462  0.369
17 H 2.42143 -0.80856 -0.21484  -0.422
18 H 3.39212 -0.39709 1.36129  0.322
19 H 3.66859 1.55637 -0.43507  0.312
20 H 2.71961 2.17531 1.07814  0.299
21 H 1.56165 1.34977 -2.60679  0.324
22 H -2.69948 -0.32531 -0.60283  0.386
23 H -1.52332 0.48990 -1.82492  0.359
24 H 0.31471 -1.43382 -0.43189  2.063
25 H -0.45967 -1.53633 -2.16294  0.556
26 H -2.51757 -2.88343 -1.52497  0.290
27 H -0.92754 -3.68387 -0.92580  0.395
28 H -1.58994 -3.55963 1.18427  0.269
29 H -2.04323 -1.93764 1.23507  0.274
30 Cs 1.30052 -2.75948 -0.72948  0.981

Atomic forces in eV per Å
C 0.29 -0.54 0.15
C 0.37 -0.29 0.71
B 2.00 -0.47 0.16
O -1.40 -2.05 1.94
C -5.97 -2.33 1.16
C 4.04 3.80 0.96
C -2.00 1.86 -1.08
C -3.47 1.78 -1.06
C 1.08 -0.16 -0.35
N 2.05 -0.87 -0.31
C -0.06 -6.44 5.09
O 0.50 5.45 -5.09
O 2.05 -3.53 -4.59
C -0.78 7.61 -3.81
O 0.60 -6.78 2.75
H 1.57 0.51 -1.23
H 0.68 2.42 1.93
H -1.81 0.87 -1.54
H -1.86 -0.06 0.94
H -0.04 -1.21 -1.71
H 0.29 1.68 0.38
H 2.62 0.41 -0.24
H -0.12 -1.18 2.39
H -6.83 5.16 -0.16
H -0.25 0.66 2.36
H 1.87 0.76 1.72
H -2.32 1.50 0.46
H -1.27 1.25 -0.44
H -0.21 -0.69 -0.69
Cs 8.39 -9.11 -0.81

The spin multiplicity is 1. The value obtained for the total energy is -20449.14495 eV. The total charge is +1. Its HOMO energy is -12.87 eV. The LUMO energy comes out at -4.20 eV. For the gap between HOMO and LUMO, the calculation gives 8.67 eV.

----------

[1]
The following is a quantum chemistry calculation of 9 unconnected molecules or ions with the total composition C38H79NO8 in a non-equilibrium geometry, from the OMol25 dataset.

- Structure (SMILES): CCN(CC)CC.C1CCOC1.C1CCOC1.C1CCOC1.C1CCOC1.C1CCOC1.C1CCOC1.C1CCOC1.C1CCOC1
- Gap between HOMO and LUMO: 9.42 eV
........

C -0.28 -0.65 0.67
C 1.33 1.50 1.14
N -0.61 0.51 0.37
N -1.21 0.80 -2.35
O 1.05 1.35 -0.01
O -0.27 -0.87 -0.72
H 1.77 -1.36 0.30
H 0.67 -0.96 0.48
H -0.44 1.71 -0.18
H 0.57 1.70 -0.48
H -0.39 0.11 0.20
H 0.18 0.06 1.05

The spin multiplicity is 1. The value obtained for the total energy is -16504.49665 eV. The SMILES is N#C[C@@]1(N)OC(=O)c2ccccc21. Its HOMO energy is -10.39 eV. The LUMO energy comes out at -0.14 eV. For the gap between HOMO and LUMO, the calculation gives 10.25 eV.


Density functional theory data (ωB97M-V/def2-TZVPD) for C9H14BCsNO4 as an isolated structure in a non-equilibrium geometry.

Last column: Mulliken charge in e.
Geometry (Å):
1 C 2.48152 -0.04579 0.68762  -0.246
2 C 2.65142 1.48915 0.12794  -0.597
3 B 1.33952 2.01750 -0.76664  0.056
4 O 1.52022 2.25381 -2.17557  -0.517
5 C 0.04218 2.02682 0.20457  0.477
6 C -1.13324 1.06410 0.26271  0.184
7 C -1.54093 -0.09005 -0.77440  -0.831
8 C -0.69956 -1.42077 -0.99419  -2.273
9 C -1.65640 -2.76278 -0.71391  -0.970
10 N -2.17370 -2.82022 0.69778  -0.430
11 C -1.71884 1.47393 1.72075  0.274
12 O -1.95902 0.50101 2.57670  -0.508
13 O -1.45502 2.80494 2.26939  -0.249
14 C -0.45021 3.11452 1.26407  0.342
15 O -0.39267 4.36008 0.86930  -0.490
16 H 1.52683 -0.21243 1.34462  0.369
17 H 2.42143 -0.80856 -0.21484  -0.422
18 H 3.39212 -0.39709 1.36129  0.322
19 H 3.66859 1.55637 -0.43507  0.312
20 H 2.71961 2.17531 1.07814  0.299
21 H 1.56165 1.34977 -2.60679  0.324
22 H -2.69948 -0.32531 -0.60283  0.386
23 H -1.52332 0.48990 -1.82492  0.359
24 H 0.31471 -1.43382 -0.43189  2.063
25 H -0.45967 -1.53633 -2.16294  0.556
26 H -2.51757 -2.88343 -1.52497  0.290
27 H -0.92754 -3.68387 -0.92580  0.395
28 H -1.58994 -3.55963 1.18427  0.269
29 H -2.04323 -1.93764 1.23507  0.274
30 Cs 1.30052 -2.75948 -0.72948  0.981

Atomic forces in eV per Å
C 0.29 -0.54 0.15
C 0.37 -0.29 0.71
B 2.00 -0.47 0.16
O -1.40 -2.05 1.94
C -5.97 -2.33 1.16
C 4.04 3.80 0.96
C -2.00 1.86 -1.08
C -3.47 1.78 -1.06
C 1.08 -0.16 -0.35
N 2.05 -0.87 -0.31
C -0.06 -6.44 5.09
O 0.50 5.45 -5.09
O 2.05 -3.53 -4.59
C -0.78 7.61 -3.81
O 0.60 -6.78 2.75
H 1.57 0.51 -1.23
H 0.68 2.42 1.93
H -1.81 0.87 -1.54
H -1.86 -0.06 0.94
H -0.04 -1.21 -1.71
H 0.29 1.68 0.38
H 2.62 0.41 -0.24
H -0.12 -1.18 2.39
H -6.83 5.16 -0.16
H -0.25 0.66 2.36
H 1.87 0.76 1.72
H -2.32 1.50 0.46
H -1.27 1.25 -0.44
H -0.21 -0.69 -0.69
Cs 8.39 -9.11 -0.81

The spin multiplicity is 1. The value obtained for the total energy is -20449.14495 eV. The total charge is +1. Its HOMO energy is -12.87 eV. The LUMO energy comes out at -4.20 eV. For the gap between HOMO and LUMO, the calculation gives 8.67 eV.

----------

[1]
The following is a quantum chemistry calculation of 9 unconnected molecules or ions with the total composition C38H79NO8 in a non-equilibrium geometry, from the OMol25 dataset.

- Structure (SMILES): CCN(CC)CC.C1CCOC1.C1CCOC1.C1CCOC1.C1CCOC1.C1CCOC1.C1CCOC1.C1CCOC1.C1CCOC1
- Gap between HOMO and LUMO: 9.42 eV